File:
Entry from Alexandria: a relaxed structure of CaPm6Sm2Dy (PBE).

Cell: 9.017 9.017 9.935 Å, 94.67 94.67 118.80°
Positions (direct):
Ca  0.098  0.902  0.750
Ca  0.902  0.098  0.250
Pm  0.002  0.215  0.624
Pm  0.075  0.530  0.177
Pm  0.215  0.002  0.124
Pm  0.263  0.619  0.552
Pm  0.381  0.737  0.948
Pm  0.470  0.925  0.323
Pm  0.530  0.075  0.677
Pm  0.619  0.263  0.052
Pm  0.737  0.381  0.448
Pm  0.785  0.998  0.876
Pm  0.925  0.470  0.823
Pm  0.998  0.785  0.376
Sm  0.200  0.300  0.958
Sm  0.300  0.200  0.458
Sm  0.700  0.800  0.542
Sm  0.800  0.700  0.042
Dy  0.477  0.523  0.250
Dy  0.523  0.477  0.750

Values from the calculation:
Calculated volume: 34.94 Å³ per atom
Uncorrected energy: -4.32 eV/atom

* * * * *

# 1
# Y2ZnAs, single point on PBEsol structure, DFT SCAN
data_Y2ZnAs
_symmetry_space_group_name_H-M 'F m -3 m'
_symmetry_Int_Tables_number 225
_symmetry_space_group_name_Hall '-F 4 2 3'
_cell_length_a 7.005
_cell_length_b 7.005
_cell_length_c 7.005
_cell_angle_alpha 90.00
_cell_angle_beta 90.00
_cell_angle_gamma 90.00
loop_
_atom_site_label
_atom_site_type_symbol
_atom_site_fract_x
_atom_site_fract_y
_atom_site_fract_z
Y1 Y 0.250 0.250 0.250
Zn1 Zn 0.000 0.000 0.000
As1 As 0.000 0.000 0.500
# Distance to the lowest polymorph of the same formula ... 293 meV per atom
# ΔH_f (0 K) ... -706 meV/atom

***

# 2
# YZnAs, single point on PBEsol structure, DFT SCAN
data_YZnAs
_symmetry_space_group_name_H-M 'F m m 2'
_symmetry_Int_Tables_number 42
_symmetry_space_group_name_Hall 'F 2 -2'
_cell_length_a 4.409
_cell_length_b 5.473
_cell_length_c 10.080
_cell_angle_alpha 90.00
_cell_angle_beta 90.00
_cell_angle_gamma 90.00
loop_
_atom_site_label
_atom_site_type_symbol
_atom_site_fract_x
_atom_site_fract_y
_atom_site_fract_z
Y1 Y 0.000 0.000 0.000
Zn1 Zn 0.000 0.000 0.691
As1 As 0.000 0.000 0.319
# ΔH_f (0 K) ... -576 meV/atom

***

# 3
# YZnAs, single point on PBEsol structure, DFT SCAN
data_YZnAs
_symmetry_space_group_name_H-M 'F -4 3 m'
_symmetry_Int_Tables_number 216
_symmetry_space_group_name_Hall 'F -4 2 3'
_cell_length_a 6.627
_cell_length_b 6.627
_cell_length_c 6.627
_cell_angle_alpha 90.00
_cell_angle_beta 90.00
_cell_angle_gamma 90.00
loop_
_atom_site_label
_atom_site_type_symbol
_atom_site_fract_x
_atom_site_fract_y
_atom_site_fract_z
Y1 Y 0.000 0.000 0.000
Zn1 Zn 0.250 0.250 0.750
As1 As 0.250 0.250 0.250
# ΔH_f (0 K) ... -511 meV/atom

***

# 4
# Y2ZnAs, single point on PBEsol structure, DFT SCAN
data_Y2ZnAs
_symmetry_space_group_name_H-M 'A m m 2'
_symmetry_Int_Tables_number 38
_cell_length_a 3.972
_cell_length_b 4.146
_cell_length_c 10.692
_cell_angle_alpha 90.00
_cell_angle_beta 90.00
_cell_angle_gamma 90.00
loop_
_symmetry_equiv_pos_as_xyz
'x,y,z'
'-x,-y,z'
'-x,y,z'
'x,-y,z'
'x,y+1/2,z+1/2'
'-x,-y+1/2,z+1/2'
'-x,y+1/2,z+1/2'
'x,-y+1/2,z+1/2'
loop_
_atom_site_label
_atom_site_type_symbol
_atom_site_fract_x
_atom_site_fract_y
_atom_site_fract_z
Y1 Y 0.000 0.000 0.000
Y2 Y 0.500 0.000 0.283
Zn1 Zn 0.500 0.000 0.559
As1 As 0.000 0.000 0.722
# Distance to the lowest polymorph of the same formula ... 0 meV per atom
# ΔH_f (0 K) ... -999 meV/atom

***

Among the records above, which one has the lowest ΔH_f (0 K)?
number 4

***

Look up the ΔH_f (0 K) of the first one.
-706 meV/atom

***

Look up the ΔH_f (0 K) of the fourth one.
-999 meV/atom

***

Which of these has the lowest ΔH_f (0 K)?
number 4

* * * * *

[1]
Sm4Dy4Er5 after structural relaxation, computed with GGA-PBE.

```
13
Lattice="4.8615 0.0000 1.2360 2.4307 9.0659 0.6180 0.1968 0.0000 9.4043" Properties=species:S:1:pos:R:3 pbc="T T T"
Sm 1.7497 4.8841 3.2966
Er 1.9195 1.3703 2.6287
Dy 2.7979 5.5981 9.3523
Dy 6.4377 8.3745 5.2148
Dy 4.6911 3.4677 1.9060
Sm 3.6579 6.3020 5.9696
Er 4.5238 6.9912 2.5641
Er 0.0000 0.0000 0.0000
Dy 1.0513 0.6913 6.0435
Sm 5.7393 4.1817 7.9617
Er 5.5695 7.6955 8.6297
Sm 3.8310 2.7638 5.2888
Er 2.9652 2.0746 8.6942
```

Summary:
E_form = 19 meV/atom
DFT total energy = -4.604 eV/atom

=====

[2]

Assignment:
Your job: start at the top of the entries further up and echo each line, ending with the one that has "6.4377 8.3745".

Here it is:
Entry from Alexandria: a relaxed structure of CaPm6Sm2Dy (PBE).

Cell: 9.017 9.017 9.935 Å, 94.67 94.67 118.80°
Positions (direct):
Ca  0.098  0.902  0.750
Ca  0.902  0.098  0.250
Pm  0.002  0.215  0.624
Pm  0.075  0.530  0.177
Pm  0.215  0.002  0.124
Pm  0.263  0.619  0.552
Pm  0.381  0.737  0.948
Pm  0.470  0.925  0.323
Pm  0.530  0.075  0.677
Pm  0.619  0.263  0.052
Pm  0.737  0.381  0.448
Pm  0.785  0.998  0.876
Pm  0.925  0.470  0.823
Pm  0.998  0.785  0.376
Sm  0.200  0.300  0.958
Sm  0.300  0.200  0.458
Sm  0.700  0.800  0.542
Sm  0.800  0.700  0.042
Dy  0.477  0.523  0.250
Dy  0.523  0.477  0.750

Values from the calculation:
Calculated volume: 34.94 Å³ per atom
Uncorrected energy: -4.32 eV/atom

* * * * *

# 1
# Y2ZnAs, single point on PBEsol structure, DFT SCAN
data_Y2ZnAs
_symmetry_space_group_name_H-M 'F m -3 m'
_symmetry_Int_Tables_number 225
_symmetry_space_group_name_Hall '-F 4 2 3'
_cell_length_a 7.005
_cell_length_b 7.005
_cell_length_c 7.005
_cell_angle_alpha 90.00
_cell_angle_beta 90.00
_cell_angle_gamma 90.00
loop_
_atom_site_label
_atom_site_type_symbol
_atom_site_fract_x
_atom_site_fract_y
_atom_site_fract_z
Y1 Y 0.250 0.250 0.250
Zn1 Zn 0.000 0.000 0.000
As1 As 0.000 0.000 0.500
# Distance to the lowest polymorph of the same formula ... 293 meV per atom
# ΔH_f (0 K) ... -706 meV/atom

***

# 2
# YZnAs, single point on PBEsol structure, DFT SCAN
data_YZnAs
_symmetry_space_group_name_H-M 'F m m 2'
_symmetry_Int_Tables_number 42
_symmetry_space_group_name_Hall 'F 2 -2'
_cell_length_a 4.409
_cell_length_b 5.473
_cell_length_c 10.080
_cell_angle_alpha 90.00
_cell_angle_beta 90.00
_cell_angle_gamma 90.00
loop_
_atom_site_label
_atom_site_type_symbol
_atom_site_fract_x
_atom_site_fract_y
_atom_site_fract_z
Y1 Y 0.000 0.000 0.000
Zn1 Zn 0.000 0.000 0.691
As1 As 0.000 0.000 0.319
# ΔH_f (0 K) ... -576 meV/atom

***

# 3
# YZnAs, single point on PBEsol structure, DFT SCAN
data_YZnAs
_symmetry_space_group_name_H-M 'F -4 3 m'
_symmetry_Int_Tables_number 216
_symmetry_space_group_name_Hall 'F -4 2 3'
_cell_length_a 6.627
_cell_length_b 6.627
_cell_length_c 6.627
_cell_angle_alpha 90.00
_cell_angle_beta 90.00
_cell_angle_gamma 90.00
loop_
_atom_site_label
_atom_site_type_symbol
_atom_site_fract_x
_atom_site_fract_y
_atom_site_fract_z
Y1 Y 0.000 0.000 0.000
Zn1 Zn 0.250 0.250 0.750
As1 As 0.250 0.250 0.250
# ΔH_f (0 K) ... -511 meV/atom

***

# 4
# Y2ZnAs, single point on PBEsol structure, DFT SCAN
data_Y2ZnAs
_symmetry_space_group_name_H-M 'A m m 2'
_symmetry_Int_Tables_number 38
_cell_length_a 3.972
_cell_length_b 4.146
_cell_length_c 10.692
_cell_angle_alpha 90.00
_cell_angle_beta 90.00
_cell_angle_gamma 90.00
loop_
_symmetry_equiv_pos_as_xyz
'x,y,z'
'-x,-y,z'
'-x,y,z'
'x,-y,z'
'x,y+1/2,z+1/2'
'-x,-y+1/2,z+1/2'
'-x,y+1/2,z+1/2'
'x,-y+1/2,z+1/2'
loop_
_atom_site_label
_atom_site_type_symbol
_atom_site_fract_x
_atom_site_fract_y
_atom_site_fract_z
Y1 Y 0.000 0.000 0.000
Y2 Y 0.500 0.000 0.283
Zn1 Zn 0.500 0.000 0.559
As1 As 0.000 0.000 0.722
# Distance to the lowest polymorph of the same formula ... 0 meV per atom
# ΔH_f (0 K) ... -999 meV/atom

***

Among the records above, which one has the lowest ΔH_f (0 K)?
number 4

***

Look up the ΔH_f (0 K) of the first one.
-706 meV/atom

***

Look up the ΔH_f (0 K) of the fourth one.
-999 meV/atom

***

Which of these has the lowest ΔH_f (0 K)?
number 4

* * * * *

[1]
Sm4Dy4Er5 after structural relaxation, computed with GGA-PBE.

```
13
Lattice="4.8615 0.0000 1.2360 2.4307 9.0659 0.6180 0.1968 0.0000 9.4043" Properties=species:S:1:pos:R:3 pbc="T T T"
Sm 1.7497 4.8841 3.2966
Er 1.9195 1.3703 2.6287
Dy 2.7979 5.5981 9.3523
Dy 6.4377 8.3745 5.2148